**Contents:**
........
ORCA calculation (ωB97M-V/def2-TZVPD) on a cluster of 13 separate species, C4H32O14 in total at a distorted geometry.

As for the multiplicity: 1. The value obtained for the LUMO energy is 5.14 eV. The total charge is -2. As for the HOMO energy: -3.81 eV.

Geometry (Å):
C (-0.186, 0.016, -0.635)
O (-1.558, 0.275, -0.901)
C (-0.017, -1.328, 0.137)
C (1.361, -1.998, -0.013)
C (2.408, -1.462, 0.968)
O (3.526, -0.819, 0.369)
H (0.267, 0.017, -1.622)
H (0.282, 0.779, -0.011)
H (-0.821, -1.976, -0.211)
H (-0.144, -1.101, 1.192)
H (1.186, -3.074, 0.106)
H (1.827, -1.958, -1.002)
H (2.860, -2.302, 1.509)
H (1.992, -0.753, 1.698)
H (0.959, -1.080, -3.547)
H (2.055, 0.014, -3.802)
O (1.788, -0.918, -4.002)
H (-1.855, 1.127, 2.822)
H (-0.632, 1.664, 2.473)
O (-0.996, 1.242, 3.230)
H (-0.701, 2.793, 0.494)
H (-2.309, 2.488, 0.693)
O (-1.565, 3.192, 0.633)
H (-2.959, -0.449, 1.438)
H (-2.396, -1.728, 0.680)
O (-2.802, -1.438, 1.513)
H (2.138, 1.431, -2.307)
H (0.688, 1.824, -2.833)
O (1.578, 1.687, -3.185)
H (-0.867, -0.602, 3.707)
H (-1.538, -1.455, 2.696)
O (-0.924, -1.544, 3.463)
H (-1.836, 3.089, -1.534)
H (-2.174, 1.661, -1.899)
O (-2.332, 2.575, -2.204)
H (0.116, -2.813, 3.948)
H (1.527, -2.669, 3.457)
O (0.978, -3.302, 3.927)
H (-3.861, 1.291, 0.551)
H (-2.145, 0.667, -0.172)
O (-3.048, 1.121, 1.058)
H (1.354, 3.636, -1.460)
H (2.073, 2.457, -0.754)
O (1.644, 3.380, -0.579)
H (3.789, 1.525, -1.165)
H (3.245, 0.029, -0.133)
O (2.890, 1.152, -1.084)
H (-1.048, -2.604, -2.704)
H (-1.856, -1.398, -2.464)
O (-1.957, -2.359, -2.540)

ORCA calculation (ωB97M-V/def2-TZVPD) on a cluster of 12 separate species, C4H33N2O13 in total at a distorted geometry.

As for the multiplicity: 2. The expectation value of S² is 0.76. The value obtained for the LUMO energy (alpha / beta) is -0.93 / -5.23 eV. As for the HOMO energy (alpha / beta): -9.91 / -9.91 eV.

Geometry (Å):
C (-2.435, 2.499, -0.711)
N (-1.396, 2.649, 0.212)
C (-0.572, 3.797, 0.381)
O (0.818, 3.461, 0.083)
C (-2.064, 1.294, -1.718)
N (-1.896, -0.024, -1.236)
C (-3.108, -0.670, -0.648)
O (-3.615, 0.119, 0.421)
H (-3.307, 2.169, -0.151)
H (-2.698, 3.300, -1.409)
H (-1.249, 1.848, 0.815)
H (-0.814, 4.638, -0.244)
H (-0.469, 4.134, 1.423)
H (0.780, 2.715, -0.535)
H (-1.296, 1.580, -2.448)
H (-2.984, 1.374, -2.338)
H (-1.177, -0.169, -0.536)
H (-2.811, -1.652, -0.285)
H (-3.894, -0.721, -1.405)
H (2.692, -0.073, -0.573)
H (2.736, 0.566, 1.051)
O (1.781, -0.159, -0.857)
H (-0.054, -0.732, 1.203)
H (-0.175, -2.509, -2.892)
O (0.250, -1.415, 0.589)
H (3.304, -2.700, -0.030)
H (2.601, -3.580, -1.040)
O (3.342, -2.967, -0.958)
H (1.485, -1.938, 1.543)
H (1.032, -2.393, 2.955)
O (1.778, -2.446, 2.351)
H (1.688, 1.432, 2.411)
H (0.746, 2.283, 2.871)
O (1.169, 1.484, 3.239)
H (0.436, -0.270, 4.605)
H (-0.402, 0.162, 3.504)
O (-0.412, -0.498, 4.205)
H (-1.626, -2.200, -2.491)
H (2.371, -2.413, -2.447)
O (-1.101, -2.664, -3.146)
H (-3.194, -0.211, 1.226)
H (1.710, -1.095, -2.314)
O (1.783, -1.832, -2.974)
H (-0.435, -4.106, 1.939)
H (-1.380, -4.017, 0.749)
O (-1.310, -4.375, 1.639)
H (0.816, -0.763, -0.094)
H (3.363, 1.890, 0.465)
O (3.516, 1.125, 1.027)
H (2.402, 1.243, -3.049)
H (1.530, 1.086, -1.818)
O (1.743, 1.747, -2.561)

ORCA calculation (ωB97M-V/def2-TZVPD) on a cluster of 13 separate species, C4H33NO12 in total at a distorted geometry.

As for the multiplicity: 1. The value obtained for the LUMO energy is 0.11 eV. As for the HOMO energy: -8.91 eV.

Geometry (Å):
N (-1.088, -2.790, 1.705)
C (-1.772, -1.491, 1.860)
C (-2.241, -0.665, -1.921)
C (-1.772, -0.738, -0.508)
C (-2.439, -1.067, 0.592)
H (-0.722, -2.914, 0.771)
H (-0.299, -2.908, 2.325)
H (-1.051, -0.750, 2.232)
H (-2.473, -1.611, 2.685)
H (-2.849, 0.179, -2.276)
H (-1.436, -0.495, -2.634)
H (-2.802, -1.531, -2.280)
H (-0.689, -0.677, -0.459)
H (-3.517, -0.952, 0.620)
H (-4.582, 1.009, -0.886)
H (-3.049, 1.300, -0.463)
O (-3.965, 1.608, -0.467)
H (-0.913, 2.426, 4.171)
H (-0.529, 2.090, 2.760)
O (-0.519, 1.706, 3.665)
........

**Activity:**
What is needed: start at the top of the data further up and restate each line, ending with the one that has "1.639)".

**Reply:**
ORCA calculation (ωB97M-V/def2-TZVPD) on a cluster of 13 separate species, C4H32O14 in total at a distorted geometry.

As for the multiplicity: 1. The value obtained for the LUMO energy is 5.14 eV. The total charge is -2. As for the HOMO energy: -3.81 eV.

Geometry (Å):
C (-0.186, 0.016, -0.635)
O (-1.558, 0.275, -0.901)
C (-0.017, -1.328, 0.137)
C (1.361, -1.998, -0.013)
C (2.408, -1.462, 0.968)
O (3.526, -0.819, 0.369)
H (0.267, 0.017, -1.622)
H (0.282, 0.779, -0.011)
H (-0.821, -1.976, -0.211)
H (-0.144, -1.101, 1.192)
H (1.186, -3.074, 0.106)
H (1.827, -1.958, -1.002)
H (2.860, -2.302, 1.509)
H (1.992, -0.753, 1.698)
H (0.959, -1.080, -3.547)
H (2.055, 0.014, -3.802)
O (1.788, -0.918, -4.002)
H (-1.855, 1.127, 2.822)
H (-0.632, 1.664, 2.473)
O (-0.996, 1.242, 3.230)
H (-0.701, 2.793, 0.494)
H (-2.309, 2.488, 0.693)
O (-1.565, 3.192, 0.633)
H (-2.959, -0.449, 1.438)
H (-2.396, -1.728, 0.680)
O (-2.802, -1.438, 1.513)
H (2.138, 1.431, -2.307)
H (0.688, 1.824, -2.833)
O (1.578, 1.687, -3.185)
H (-0.867, -0.602, 3.707)
H (-1.538, -1.455, 2.696)
O (-0.924, -1.544, 3.463)
H (-1.836, 3.089, -1.534)
H (-2.174, 1.661, -1.899)
O (-2.332, 2.575, -2.204)
H (0.116, -2.813, 3.948)
H (1.527, -2.669, 3.457)
O (0.978, -3.302, 3.927)
H (-3.861, 1.291, 0.551)
H (-2.145, 0.667, -0.172)
O (-3.048, 1.121, 1.058)
H (1.354, 3.636, -1.460)
H (2.073, 2.457, -0.754)
O (1.644, 3.380, -0.579)
H (3.789, 1.525, -1.165)
H (3.245, 0.029, -0.133)
O (2.890, 1.152, -1.084)
H (-1.048, -2.604, -2.704)
H (-1.856, -1.398, -2.464)
O (-1.957, -2.359, -2.540)

ORCA calculation (ωB97M-V/def2-TZVPD) on a cluster of 12 separate species, C4H33N2O13 in total at a distorted geometry.

As for the multiplicity: 2. The expectation value of S² is 0.76. The value obtained for the LUMO energy (alpha / beta) is -0.93 / -5.23 eV. As for the HOMO energy (alpha / beta): -9.91 / -9.91 eV.

Geometry (Å):
C (-2.435, 2.499, -0.711)
N (-1.396, 2.649, 0.212)
C (-0.572, 3.797, 0.381)
O (0.818, 3.461, 0.083)
C (-2.064, 1.294, -1.718)
N (-1.896, -0.024, -1.236)
C (-3.108, -0.670, -0.648)
O (-3.615, 0.119, 0.421)
H (-3.307, 2.169, -0.151)
H (-2.698, 3.300, -1.409)
H (-1.249, 1.848, 0.815)
H (-0.814, 4.638, -0.244)
H (-0.469, 4.134, 1.423)
H (0.780, 2.715, -0.535)
H (-1.296, 1.580, -2.448)
H (-2.984, 1.374, -2.338)
H (-1.177, -0.169, -0.536)
H (-2.811, -1.652, -0.285)
H (-3.894, -0.721, -1.405)
H (2.692, -0.073, -0.573)
H (2.736, 0.566, 1.051)
O (1.781, -0.159, -0.857)
H (-0.054, -0.732, 1.203)
H (-0.175, -2.509, -2.892)
O (0.250, -1.415, 0.589)
H (3.304, -2.700, -0.030)
H (2.601, -3.580, -1.040)
O (3.342, -2.967, -0.958)
H (1.485, -1.938, 1.543)
H (1.032, -2.393, 2.955)
O (1.778, -2.446, 2.351)
H (1.688, 1.432, 2.411)
H (0.746, 2.283, 2.871)
O (1.169, 1.484, 3.239)
H (0.436, -0.270, 4.605)
H (-0.402, 0.162, 3.504)
O (-0.412, -0.498, 4.205)
H (-1.626, -2.200, -2.491)
H (2.371, -2.413, -2.447)
O (-1.101, -2.664, -3.146)
H (-3.194, -0.211, 1.226)
H (1.710, -1.095, -2.314)
O (1.783, -1.832, -2.974)
H (-0.435, -4.106, 1.939)
H (-1.380, -4.017, 0.749)
O (-1.310, -4.375, 1.639)